# Exercise
Now set down the whole of the data further below exactly.

# Data
This entry pairs a crystal structure of BaGaBiH with its calculated X-ray powder pattern. Radiation: Cu Kα (weighted mean of Kα1 and Kα2). Structure: the PBE geometry in Alexandria.

The 6 most intense peaks (2θ from 10° to 90°), in order of rising 2θ:
2theta	I_rel
25.52	27.0
26.78	47.7
27.64	93.3
28.23	44.6
35.29	100.0
39.32	30.0

Crystal structure
```
BaGaBiH
1.0
9.1752 0.0000 0.0000
0.0000 4.5823 0.0000
-0.2427 0.0000 5.0944
Ba Ga Bi H
2 2 2 2
Direct
0.0000 0.0000 0.0000
0.5000 0.5000 0.0000
0.1479 0.5000 0.5548
0.6479 0.0000 0.5548
0.3268 0.0000 0.4682
0.8268 0.5000 0.4682
0.1562 0.5000 0.8986
0.6562 0.0000 0.8986
```

=====

This entry pairs a crystal structure of MgBRhO4 with its calculated X-ray powder pattern. Radiation: Cu Kα (weighted mean of Kα1 and Kα2). Structure: the PBE geometry in Alexandria.

The 6 most intense peaks (2θ from 10° to 90°), in order of rising 2θ:
2theta	I_rel
19.48	100.0
22.46	25.8
37.67	88.5
45.89	61.8
50.20	24.4
66.90	26.1

Crystal structure
```
MgBRhO4
1.0
-2.7857 2.8059 3.9579
2.7857 -2.8059 3.9579
2.7857 2.8059 -3.9579
Mg B Rh O
2 2 2 8
Direct
0.5000 0.0000 0.0000
0.5000 0.5000 0.5000
0.1088 0.3588 0.7500
0.8912 0.6412 0.2500
0.0000 0.0000 0.0000
0.5000 0.0000 0.5000
0.2124 0.7374 0.4750
0.2355 0.2628 0.5273
0.2355 0.7082 0.9727
0.2376 0.2626 0.9750
0.7624 0.7374 0.0250
0.7645 0.2918 0.0273
0.7645 0.7372 0.4727
0.7876 0.2626 0.5250
```

=====

This entry pairs a crystal structure of Tb4Pr2Y3 with its calculated X-ray powder pattern. Radiation: Cu Kα (weighted mean of Kα1 and Kα2). Structure: the PBE geometry in Alexandria.

The 6 most intense peaks (2θ from 10° to 90°), in order of rising 2θ:
2theta	I_rel
29.93	57.9
30.47	49.8
30.61	62.8
31.51	100.0
37.10	40.1
37.67	23.1

Crystal structure
```
Tb4Pr2Y3
1.0
8.4243 -5.8668 0.0000
8.4243 5.8668 0.0000
-0.7490 0.0000 5.9938
Tb Pr Y
8 4 6
Direct
0.0452 0.8317 0.9558
0.1592 0.3766 0.1275
0.1683 0.9548 0.5442
0.3766 0.1592 0.6275
0.6234 0.8408 0.3725
0.8317 0.0452 0.4558
0.8408 0.6234 0.8725
0.9548 0.1683 0.0442
0.2804 0.5083 0.7189
0.4917 0.7196 0.7811
0.5083 0.2804 0.2189
0.7196 0.4917 0.2811
0.0142 0.3146 0.5871
0.3146 0.0142 0.0871
0.3499 0.6501 0.2500
0.6501 0.3499 0.7500
0.6854 0.9858 0.9129
0.9858 0.6854 0.4129
```

=====

This entry pairs a crystal structure of BeGa2Rh3 with its calculated X-ray powder pattern. Radiation: Cu Kα (weighted mean of Kα1 and Kα2). Structure: the PBE geometry in Alexandria.

The 6 most intense peaks (2θ from 10° to 90°), in order of rising 2θ:
2theta	I_rel
30.23	16.8
36.53	6.8
43.28	100.0
62.87	15.6
71.33	5.3
79.39	30.5

Crystal structure
```
BeGa2Rh3
1.0
2.9557 0.0000 0.0000
0.0000 2.9557 0.0000
0.0000 0.0000 8.8744
Be Ga Rh
1 2 3
Direct
0.0000 0.0000 0.0000
0.0000 0.0000 0.3216
0.0000 0.0000 0.6784
0.5000 0.5000 0.1539
0.5000 0.5000 0.5000
0.5000 0.5000 0.8461
```


Record 1
For Gd3Tl4SnPb2, a DFT-relaxed cell (GGA-PBE, OQMD) gives the theoretical X-ray diffraction stick pattern in this record (copper Kα).
Neutral-atom scattering factors, no anomalous dispersion.

```
Gd3Tl4SnPb2
1.0
2.377 -12.345 0.000
2.377 12.345 0.000
0.000 0.000 4.725
Gd Tl Sn Pb
3 4 1 2
Cartesian
0.000 0.000 0.000 Gd
2.377 7.640 0.000 Gd
2.377 -7.640 0.000 Gd
2.377 5.120 2.363 Tl
2.377 2.454 0.000 Tl
2.377 -2.454 0.000 Tl
2.377 -5.120 2.363 Tl
2.377 0.000 2.363 Sn
2.377 9.937 2.363 Pb
2.377 -9.937 2.363 Pb
```

Peak list (8 most intense, 10 to 90 degrees two-theta, low angle first)
2θ 32.3, intensity 100; 2θ 36.4, intensity 17; 2θ 37.8, intensity 18; 2θ 38.1, intensity 17; 2θ 54.8, intensity 13; 2θ 62.9, intensity 13; 2θ 64.9, intensity 14; 2θ 65.2, intensity 14

---

Record 2
For Pr3Cu2Si4Pt2, a DFT-relaxed cell (GGA-PBE, OQMD) gives the theoretical X-ray diffraction stick pattern in this record (copper Kα).
Neutral-atom scattering factors, no anomalous dispersion.

```
Pr3Cu2Si4Pt2
1.0
-2.093 2.100 12.194
2.093 -2.100 12.194
2.093 2.100 -12.194
Pr Cu Si Pt
3 2 4 2
Cartesian
0.000 0.000 0.000 Pr
2.093 0.000 8.490 Pr

# Completed
This entry pairs a crystal structure of BaGaBiH with its calculated X-ray powder pattern. Radiation: Cu Kα (weighted mean of Kα1 and Kα2). Structure: the PBE geometry in Alexandria.

The 6 most intense peaks (2θ from 10° to 90°), in order of rising 2θ:
2theta	I_rel
25.52	27.0
26.78	47.7
27.64	93.3
28.23	44.6
35.29	100.0
39.32	30.0

Crystal structure
```
BaGaBiH
1.0
9.1752 0.0000 0.0000
0.0000 4.5823 0.0000
-0.2427 0.0000 5.0944
Ba Ga Bi H
2 2 2 2
Direct
0.0000 0.0000 0.0000
0.5000 0.5000 0.0000
0.1479 0.5000 0.5548
0.6479 0.0000 0.5548
0.3268 0.0000 0.4682
0.8268 0.5000 0.4682
0.1562 0.5000 0.8986
0.6562 0.0000 0.8986
```

=====

This entry pairs a crystal structure of MgBRhO4 with its calculated X-ray powder pattern. Radiation: Cu Kα (weighted mean of Kα1 and Kα2). Structure: the PBE geometry in Alexandria.

The 6 most intense peaks (2θ from 10° to 90°), in order of rising 2θ:
2theta	I_rel
19.48	100.0
22.46	25.8
37.67	88.5
45.89	61.8
50.20	24.4
66.90	26.1

Crystal structure
```
MgBRhO4
1.0
-2.7857 2.8059 3.9579
2.7857 -2.8059 3.9579
2.7857 2.8059 -3.9579
Mg B Rh O
2 2 2 8
Direct
0.5000 0.0000 0.0000
0.5000 0.5000 0.5000
0.1088 0.3588 0.7500
0.8912 0.6412 0.2500
0.0000 0.0000 0.0000
0.5000 0.0000 0.5000
0.2124 0.7374 0.4750
0.2355 0.2628 0.5273
0.2355 0.7082 0.9727
0.2376 0.2626 0.9750
0.7624 0.7374 0.0250
0.7645 0.2918 0.0273
0.7645 0.7372 0.4727
0.7876 0.2626 0.5250
```

=====

This entry pairs a crystal structure of Tb4Pr2Y3 with its calculated X-ray powder pattern. Radiation: Cu Kα (weighted mean of Kα1 and Kα2). Structure: the PBE geometry in Alexandria.

The 6 most intense peaks (2θ from 10° to 90°), in order of rising 2θ:
2theta	I_rel
29.93	57.9
30.47	49.8
30.61	62.8
31.51	100.0
37.10	40.1
37.67	23.1

Crystal structure
```
Tb4Pr2Y3
1.0
8.4243 -5.8668 0.0000
8.4243 5.8668 0.0000
-0.7490 0.0000 5.9938
Tb Pr Y
8 4 6
Direct
0.0452 0.8317 0.9558
0.1592 0.3766 0.1275
0.1683 0.9548 0.5442
0.3766 0.1592 0.6275
0.6234 0.8408 0.3725
0.8317 0.0452 0.4558
0.8408 0.6234 0.8725
0.9548 0.1683 0.0442
0.2804 0.5083 0.7189
0.4917 0.7196 0.7811
0.5083 0.2804 0.2189
0.7196 0.4917 0.2811
0.0142 0.3146 0.5871
0.3146 0.0142 0.0871
0.3499 0.6501 0.2500
0.6501 0.3499 0.7500
0.6854 0.9858 0.9129
0.9858 0.6854 0.4129
```

=====

This entry pairs a crystal structure of BeGa2Rh3 with its calculated X-ray powder pattern. Radiation: Cu Kα (weighted mean of Kα1 and Kα2). Structure: the PBE geometry in Alexandria.

The 6 most intense peaks (2θ from 10° to 90°), in order of rising 2θ:
2theta	I_rel
30.23	16.8
36.53	6.8
43.28	100.0
62.87	15.6
71.33	5.3
79.39	30.5

Crystal structure
```
BeGa2Rh3
1.0
2.9557 0.0000 0.0000
0.0000 2.9557 0.0000
0.0000 0.0000 8.8744
Be Ga Rh
1 2 3
Direct
0.0000 0.0000 0.0000
0.0000 0.0000 0.3216
0.0000 0.0000 0.6784
0.5000 0.5000 0.1539
0.5000 0.5000 0.5000
0.5000 0.5000 0.8461
```


Record 1
For Gd3Tl4SnPb2, a DFT-relaxed cell (GGA-PBE, OQMD) gives the theoretical X-ray diffraction stick pattern in this record (copper Kα).
Neutral-atom scattering factors, no anomalous dispersion.

```
Gd3Tl4SnPb2
1.0
2.377 -12.345 0.000
2.377 12.345 0.000
0.000 0.000 4.725
Gd Tl Sn Pb
3 4 1 2
Cartesian
0.000 0.000 0.000 Gd
2.377 7.640 0.000 Gd
2.377 -7.640 0.000 Gd
2.377 5.120 2.363 Tl
2.377 2.454 0.000 Tl
2.377 -2.454 0.000 Tl
2.377 -5.120 2.363 Tl
2.377 0.000 2.363 Sn
2.377 9.937 2.363 Pb
2.377 -9.937 2.363 Pb
```

Peak list (8 most intense, 10 to 90 degrees two-theta, low angle first)
2θ 32.3, intensity 100; 2θ 36.4, intensity 17; 2θ 37.8, intensity 18; 2θ 38.1, intensity 17; 2θ 54.8, intensity 13; 2θ 62.9, intensity 13; 2θ 64.9, intensity 14; 2θ 65.2, intensity 14

---

Record 2
For Pr3Cu2Si4Pt2, a DFT-relaxed cell (GGA-PBE, OQMD) gives the theoretical X-ray diffraction stick pattern in this record (copper Kα).
Neutral-atom scattering factors, no anomalous dispersion.

```
Pr3Cu2Si4Pt2
1.0
-2.093 2.100 12.194
2.093 -2.100 12.194
2.093 2.100 -12.194
Pr Cu Si Pt
3 2 4 2
Cartesian
0.000 0.000 0.000 Pr
2.093 0.000 8.490 Pr